Moscow, June 25, 2013

His Holiness Patriarch Kirill of Moscow and All Russia has made a statement about the tragic events in Syria:
Right Reverent Archpastors, Reverent Fathers, dear brothers and sisters!
For almost two years there have been military operations in Syria. Tens of thousands of people have been killed during this time; many old people, amongst whom are women and children, that is, civilians.
The majority of the Syrian people are our brothers in faith: in the city of Damascus is the center of one of the most ancient Orthodox Patriarchates—the Patriarchate of Antioch. Human blood is currently being shed in the streets of this city which remembers the Apostle Paul, and the ascetic labors of ancient saints. On this Biblical land where Orthodox Christians and Muslims peacefully lived side-by-side, shrines and churches are being desecrated, Christians are being driven from their homes, persecuted, often tortured and killed.
Houses have been destroyed, the infrastructure wrecked, there has been lack of food and medicaments, and many people have become homeless. Some have gone to their relatives, some have found refuge in special refugee centers, and others had to flee to neighboring countries, where usually nobody is waiting for them.
Our [Russian] people experienced similar things not long ago. During the Revolution, the Civil War and persecution of the Church, thousands of our compatriots were killed. There were many hierarchs, priests, and monks among them. We honor the labors of New Martyrs and Confessors of Russia. In addition, we must not be indifferent when innocent blood is being shed again today.
We cannot stop this war but can pray hard so that it may end soon, and we can give aid to the suffering people, amongst whom are our brothers in Christ.
Our Lord Jesus Christ in the parable in of the Good Samaritan (Lk. 10:29-37) indicates to us clearly who is our neighbor: anyone who needs help. Even if he or she has different views from us, has a different faith and lives in a different place; because the man who suffered from the hands of thieves proved to be just such a neighbor for the Good Samaritan.
I ask you to follow the call of Christ and to help our neighbors—those who now particularly need our support and sympathy.
To this purpose I bless on the coming Sunday, in all parishes of the Russian Orthodox Church, to organize fundraising in support of those in need in Syria. Money should be transferred to the accounts of the Synodal Department for Church Charity and Social Ministry which has been charged with coordination of this good undertaking. After the Church-wide fundraising has been completed the funds will be transmitted to the Patriarchate of Antioch.
I am praying that the bloodshed cease, and peace be restored on the Syrian land, and hope that your offerings will be pleasing to God.
+Kirill, Patriarch of Moscow and All Russia
Information on the Synodal Department for Church Charity (for donations in rubles):
Православная религиозная организация Отдел по церковной
благотворительности и социальному служению Русской
Православной Церкви (Московского Патриархата)
Адрес: 109004, г. Москва, ул. Николоямская, д. 57, стр.
********
An optimized crystal structure of Nd2TlHg, computed with r²SCAN.

The calculation puts the energy at -40.892 eV per atom.

The space group is Fm-3m (No. 225) and the conventional cell measures 7.715, 7.715 and 7.715 Å, with angles of 90.00, 90.00 and 90.00 degrees. The asymmetric unit holds Nd at (0.250, 0.250, 0.250), Tl at (0.000, 0.000, 0.000) and Hg at (0.000, 0.000, 0.500).
********
ИНН 7709048164, КПП 770901001, ОГРН 1037739255762
Счет в банке «Петрокоммерц»:
Расчетный счет: 40703810200000001493
к/с 30101810700000000352
БИК 044525352
В ОАО банк «Петрокоммерц» г. Москва
В графе «назначение платежа» следует
указывать: «Помощь Сирии»
For donations in US dollars:
NAME: PRO Department for church charity and social service
of the Russian Orthodox Church (Moscow’s
### Someone pasted calculated crystals at this point
____________
# 1
Density functional theory data (PBE) for BaZr2SnO6 after structural relaxation.

Cell and atoms, written as POSCAR:
```
BaZr2SnO6
1.0
4.228 0.000 0.000
0.000 4.228 0.000
0.000 0.000 8.452
Ba Zr Sn O
1 2 1 6
Direct
0.000 0.000 0.000
0.500 0.500 0.253
0.500 0.500 0.747
0.000 0.000 0.500
0.000 0.500 0.250
0.000 0.500 0.750
0.500 0.000 0.250
0.500 0.000 0.750
0.500 0.500 0.000
0.500 0.500 0.500
```

The volume comes out at 15.11 A^3/atom. The relative energy among the computed polymorphs is 0.0079 eV per atom. As for the density: 5.87 g/cm3. Its energy with MP2020 corrections is -8.43 eV per atom. The value obtained for the total energy is -8.014 eV per atom.



# 2
Density functional theory data (PBE) for BaZr2SnO6 after structural relaxation.

Cell and atoms, written as POSCAR:
```
BaZr2SnO6
1.0
8.457 0.000 0.000
0.000 8.457 0.000
0.000 0.000 8.457
Ba Zr Sn O
4 8 4 24
Direct
0.000 0.000 0.000
0.000 0.000 0.500
0.000 0.500 0.000
0.500 0.000 0.000
0.251 0.251 0.251
0.251 0.251 0.749
0.251 0.749 0.251
0.251 0.749 0.749
0.749 0.251 0.251
0.749 0.251 0.749
0.749 0.749 0.251
0.749 0.749 0.749
0.000 0.500 0.500
0.500 0.000 0.500
0.500 0.500 0.000
0.500 0.500 0.500
0.000 0.250 0.250
0.000 0.250 0.750
0.000 0.750 0.250
0.000 0.750 0.750
0.250 0.000 0.250
0.250 0.000 0.750
0.250 0.250 0.000
0.250 0.250 0.500
0.250 0.500 0.250
0.250 0.500 0.750
0.250 0.750 0.000
0.250 0.750 0.500
0.500 0.250 0.250
0.500 0.250 0.750
0.500 0.750 0.250
0.500 0.750 0.750
0.750 0.000 0.250
0.750 0.000 0.750
0.750 0.250 0.000
0.750 0.250 0.500
0.750 0.500 0.250
0.750 0.500 0.750
0.750 0.750 0.000
0.750 0.750 0.500
```

The volume comes out at 15.12 A^3/atom. The relative energy among the computed polymorphs is 0.0085 eV per atom. As for the density: 5.87 g/cm3. Its energy with MP2020 corrections is -8.43 eV per atom. The value obtained for the total energy is -8.014 eV per atom.



# 3
Density functional theory data (PBE) for BaZr2SnO6 after structural relaxation.

Cell and atoms, written as POSCAR:
```
BaZr2SnO6
1.0
8.456 0.000 0.000
0.000 8.456 0.000
0.000 0.000 8.456
Ba Zr Sn O
4 8 4 24
Direct
0.000 0.000 0.000
0.000 0.000 0.500
0.000 0.500 0.000
0.500 0.000 0.500
0.251 0.251 0.250
0.251 0.251 0.750
0.251 0.749 0.250
0.251 0.749 0.750
0.749 0.251 0.250
0.749 0.251 0.750
0.749 0.749 0.250
0.749 0.749 0.750
0.000 0.500 0.500
0.500 0.000 0.000
0.500 0.500 0.000
0.500 0.500 0.500
0.000 0.250 0.250
0.000 0.250 0.750
0.000 0.750 0.250
0.000 0.750 0.750
0.250 0.000 0.250
0.250 0.000 0.750
0.250 0.250 0.000
0.250 0.250 0.500
0.250 0.500 0.250
0.250 0.500 0.750
0.250 0.750 0.000
0.250 0.750 0.500
0.500 0.250 0.250
0.500 0.250 0.750
0.500 0.750 0.250
0.500 0.750 0.750
0.750 0.000 0.250
0.750 0.000 0.750
0.750 0.250 0.000
0.750 0.250 0.500
0.750 0.500 0.250
0.750 0.500 0.750
0.750 0.750 0.000
0.750 0.750 0.500
```
____________
### So much for the calculated crystals
Address: 109004, Russian Federation, Moscow, st.
Nikoloyamskaya, d. 57 build. 7
Beneficiary Bank:
OJSC Bank Petrocommerce
Bank’s Address: 127051, Russian Federation, Moscow,
Petrovka St., d. 24, str. 1
Account number/IBAN: 40703840400100001493
DETAILS OF PAYMENT: Donation for Syria
For donations in Euros:
NAME: PRO Department for church charity and social service
of the Russian Orthodox Church (Moscow’s
Address: 109004, Russian Federation, Moscow, Moscow, st.
Nikoloyamskaya, d. 57 build. 7
Beneficiary Bank:
OJSC Bank Petrocommerce
Bank’s Address: 127051, Russian Federation, Moscow,
Petrovka St., d. 24, str. 1
# What comes next are records of crystals, not part of the piece
┌──
[1]
VASP calculation (PBE+U) on crystalline BaCoSe4O12 at its relaxed geometry.

**Corrected total energy (MP2020 scheme)**: -98.46 eV per cell
**Symmetry**: P4/mmm
**Crystal system**: tetragonal
**Energy**: -4.921 eV/atom
**Total magnetic moment**: 3.0 μB/f.u.
**E_form**: -16.07 eV/f.u.

abc: 5.501 5.501 7.559
angles: 90.00 90.00 90.00
Atoms (fractional coordinates):
1 Ba 0.000 0.000 0.000
2 Co 0.500 0.500 0.500
3 Se 0.000 0.500 0.258
4 Se 0.000 0.500 0.742
5 Se 0.500 0.000 0.258
6 Se 0.500 0.000 0.742
7 O 0.000 0.500 0.000
8 O 0.000 0.500 0.500
9 O 0.260 0.260 0.279
10 O 0.260 0.260 0.721
11 O 0.260 0.740 0.279
12 O 0.260 0.740 0.721
13 O 0.500 0.000 0.000
14 O 0.500 0.000 0.500
15 O 0.740 0.260 0.279
16 O 0.740 0.260 0.721
17 O 0.740 0.740 0.279
18 O 0.740 0.740 0.721

---

[2]
VASP calculation (PBE+U) on crystalline V3Fe2O12 at its relaxed geometry.

**Corrected total energy (MP2020 scheme)**: -534.15 eV per cell
**Symmetry**: P2_12_12_1
**Crystal system**: orthorhombic
**Energy**: -6.805 eV/atom
**Total magnetic moment**: 11.0 μB/f.u.
**E_form**: -29.97 eV/f.u.

abc: 8.584 9.447 12.287
angles: 90.00 90.00 90.00
Atoms (fractional coordinates):
1 V 0.036 0.179 0.038
2 V 0.245 0.828 0.864
3 V 0.249 0.246 0.644
4 V 0.251 0.754 0.144
5 V 0.255 0.172 0.364
6 V 0.464 0.821 0.538
7 V 0.536 0.321 0.962
8 V 0.745 0.672 0.136
9 V 0.749 0.254 0.356
10 V 0.751 0.746 0.856
11 V 0.755 0.328 0.636
12 V 0.964 0.679 0.462
13 Fe 0.060 0.556 0.715
14 Fe 0.065 0.453 0.243
15 Fe 0.435 0.547 0.743
16 Fe 0.440 0.444 0.215
17 Fe 0.560 0.944 0.285
18 Fe 0.565 0.047 0.757
19 Fe 0.935 0.953 0.257
20 Fe 0.940 0.056 0.785
21 O 0.048 0.675 0.596
22 O 0.050 0.454 0.841
23 O 0.057 0.345 0.102
24 O 0.066 0.567 0.376
25 O 0.068 0.910 0.861
26 O 0.073 0.816 0.179
27 O 0.110 0.149 0.710
28 O 0.112 0.063 0.319
29 O 0.220 0.231 0.502
30 O 0.224 0.121 0.033
31 O 0.241 0.673 0.782
32 O 0.248 0.430 0.684
33 O 0.252 0.570 0.184
34 O 0.259 0.327 0.282
35 O 0.276 0.879 0.533
36 O 0.280 0.769 0.002
37 O 0.388 0.937 0.819
38 O 0.390 0.851 0.210
39 O 0.427 0.184 0.679
40 O 0.432 0.090 0.361
41 O 0.434 0.433 0.876
42 O 0.443 0.655 0.602
43 O 0.450 0.546 0.341
44 O 0.452 0.325 0.096
45 O 0.548 0.825 0.404
46 O 0.550 0.046 0.159
47 O 0.557 0.155 0.898
48 O 0.566 0.933 0.624
49 O 0.568 0.590 0.139
50 O 0.573 0.684 0.821
51 O 0.610 0.351 0.290
52 O 0.612 0.437 0.681
53 O 0.720 0.269 0.498
54 O 0.724 0.379 0.967
55 O 0.741 0.827 0.218
56 O 0.748 0.070 0.316
57 O 0.752 0.930 0.816
58 O 0.759 0.173 0.718
59 O 0.776 0.621 0.467
60 O 0.780 0.731 0.998
61 O 0.888 0.563 0.181
62 O 0.890 0.649 0.790
63 O 0.927 0.316 0.321
64 O 0.932 0.410 0.639
65 O 0.934 0.067 0.124
66 O 0.943 0.845 0.398
67 O 0.950 0.954 0.659
68 O 0.952 0.175 0.904

---

[3]
VASP calculation (PBE+U) on crystalline K2Mn5Si12O31 at its relaxed geometry.

**Corrected total energy (MP2020 scheme)**: -819.65 eV per cell
**Symmetry**: P-62c
**Crystal system**: hexagonal
**Energy**: -7.604 eV/atom
**Total magnetic moment**: 27.0 μB/f.u.
└──
Account number/IBAN: 40703978000100001493
DETAILS OF PAYMENT: Donation for Syria